Jefferson Lab Weekly Briefs
~~~
Density functional theory data (ωB97M-V/def2-TZVPD) for a structure of composition C4H6N2O2 in a non-equilibrium geometry.

The calculation puts the energy above the lowest of the compared OMol25 structures with the same formula, charge and spin at 170.3 kcal per mole. The value obtained for the LUMO energy is 0.369 eV. Its HOMO energy is -0.3005 Ha.

Geometry as XYZ:
```
14
Properties=species:S:1:pos:R:3:forces:R:3
H -2.661558 -1.331477 -0.753134 0.5 3.3 2.9
N 2.081053 0.594836 -0.058320 -2.0 0.6 0.0
C 0.594770 0.582564 -0.288731 1.6 -0.6 2.1
H -1.396611 0.780833 -0.349946 -2.5 -3.1 0.0
C -1.924660 -0.553208 0.024849 -3.7 -0.3 -0.5
H -0.685643 1.815532 0.975185 1.4 -0.5 -3.8
O -0.879500 -1.499963 -0.167401 3.1 2.9 1.2
C 0.211534 -0.668337 -0.127039 1.0 -7.2 -1.6
H -2.207295 -0.398653 1.315550 0.4 -1.1 -3.7
N -0.422036 1.582020 -0.149143 3.5 4.9 2.3
H 0.158681 2.433462 -0.566531 -2.4 -1.3 1.1
O 1.316218 -1.551895 -0.124793 1.3 3.2 1.3
C 2.404851 -0.631355 0.061108 -0.7 -2.2 -1.0
H 3.410193 -1.154364 0.208341 -1.6 1.2 -0.3
```
Positions in Å, forces in eV/Å.
~~~
September 16, 2015
12 GeV UpgradeDesign of the final section of Hall C downstream beam pipe has started. This portion will reside very close to some of the Super High Momentum Spectrometer magnets when the spectrometer is rotated to forward angles, so the material properties and precise location are important. Similarly, the final detailing for components of the spectrometer vacuum system has been reserved until the mating parts of all five SHMS magnets are absolutely known. This detailing is now moving forward. Progress on the magnets being fabricated in France are temporarily slowed while the vendor addresses mechanical tolerance issues with some of the cryostat components being built by subcontractors. Nevertheless, there is progress to report: the dipole helium vessel, which encloses the superconducting coils, has passed its pressure and leak tests; the Q2 coil has been placed inside its helium vessel; the Q3 coil and mating collaring rings have been finish-machined and are ready to be permanently joined. Testing of the HB magnet at increasing currents continues as improvements are made to its data-logging systems, the data are analyzed, and the numerical models that describe the magnet are refined. Center for Theoretical and Computational PhysicsNucleon-nucleon systems are studied with lattice quantum chromodynamics at a pion mass of mπ ~ 450 MeV at three spatial volumes, using three flavors of light quarks. At this mass, the deuteron binding energy is Bd = 14.4+3.2-2.6 MeV, while the di-neutron is bound by Bnn = 12.5+3.0-5.0 MeV. Over the range of energies that are studied, the S-wave scattering phase shifts calculated in the 1S0 and 3S1 - 3D1 channels are found to be similar to those in nature, and indicate repulsive short-range components of the interactions, consistent with phenomenological nucleon-nucleon interactions. EngineeringThe Mechanical Engineering group has been busy with the following projects:
## Between two parts of the page: calculated molecules
********
Below is a 2-piece molecular cluster, CH6NO3P overall at a distorted geometry, with properties calculated with ωB97M-V/def2-TZVPD.

```
12
Properties=species:S:1:pos:R:3:forces:R:3
C 1.8915 0.6583 0.1884 0.559 1.556 1.988
N -2.7118 -0.0818 0.6838 0.735 -0.758 -1.104
O -1.2876 -2.0388 -0.5642 0.507 -0.111 -0.468
O -0.9339 0.4387 -1.2321 0.611 -3.269 0.294
O 1.1038 -0.4475 0.6037 0.407 -0.080 -0.653
P -1.6138 -0.6540 -0.2771 -0.962 1.195 0.339
H 1.4449 1.4795 0.8396 0.942 -0.487 -1.270
H 1.9362 0.9262 -0.8690 -0.810 -0.278 -0.113
H 2.9817 0.5471 0.4551 -1.044 -0.049 0.168
H -3.2599 -0.9334 0.9153 0.327 0.691 0.354
H 1.6412 -1.2154 0.4174 -0.269 -0.663 -0.036
H -1.1924 1.3212 -1.1608 -1.003 2.253 0.501
```
Forces are in eV/Å.

Summary:
LUMO level: 0.0089 Ha
Total charge: 0
Frontier orbital gap: 10.594 eV
ΔE to the lowest compared entry with this formula, charge and spin: 73.5 kJ/mol
E_tot: -18055.74226 eV
Largest force on an atom: 3.34 eV/Å

Here are the natural (NBO) charges for atoms 1 to 4, given in e: atom 1 (C): -0.263, atom 2 (N): -1.241, atom 3 (O): -1.023, atom 4 (O): -0.966

----------

Entry 1:
Here is a molecular structure, C15H20AsF6NO5SSiV at a distorted geometry from the Open Molecules 2025 dataset. Energies are from the ωB97M-V functional and the def2-TZVPD basis.

Properties
Expectation value of S²: 2.017
Spin multiplicity: 3
HOMO-LUMO gap (alpha / beta): 0.274 / 0.281 Eh
Highest occupied orbital energy (alpha / beta): -0.18104 / -0.18749 hartree
Net charge: -1

The geometry in XYZ format:
```
51
C15H20AsF6NO5SSiV (the ωB97M-V functional and the def2-TZVPD basis)
As -0.59 3.94 2.40
V -0.59 1.28 1.16
S -1.21 0.08 3.46
Si 0.94 -2.99 -1.89
F -1.46 4.32 3.85
F 0.42 2.82 3.22
F -1.64 5.02 1.51
F 0.30 3.66 0.92
F -1.80 2.64 2.15
F 0.51 5.24 2.77
O -2.05 2.56 -0.34
O 0.32 1.62 -2.77
O 0.93 0.40 1.64
O 0.13 1.37 -0.56
O -2.85 -0.21 0.57
N 1.09 -0.65 2.43
C 2.44 -2.48 3.06
C -0.89 -1.35 -0.10
C 1.53 -2.78 4.09
C -1.56 2.62 -1.68
C -2.55 1.97 -2.64
C 0.16 -0.90 3.40
C 0.42 -1.99 4.25
C -1.63 -0.29 0.52
C -0.18 -2.09 -0.76
C 2.73 -2.72 -1.36
C 0.63 -2.36 -3.64
C -0.25 1.80 -1.70
C 2.19 -1.41 2.25
C 0.53 -4.83 -1.80
C -1.26 4.06 -2.08
H -3.45 2.58 -2.73
H -0.39 -2.59 -3.94
H 3.33 -3.08 2.90
H -2.68 3.26 -0.19
H -0.58 4.52 -1.36
H -2.19 4.65 -2.10
H 1.16 -5.42 -2.48
H 1.71 -3.63 4.74
H 3.44 -3.15 -2.08
H -0.81 4.09 -3.07
H 2.82 -1.09 1.44
H 1.31 -2.82 -4.36
H 2.92 -3.18 -0.39
H -2.09 1.86 -3.62
H -0.30 -2.19 5.03
H -2.83 0.98 -2.27
H 2.94 -1.65 -1.28
H 0.76 -1.28 -3.68
H 0.67 -5.22 -0.79
H -0.51 -5.00 -2.08
```


Entry 2:
Here is a molecular structure, C9H7F6O3PSV from the Open Molecules 2025 dataset. Energies are from the ωB97M-V functional and the def2-TZVPD basis.

Properties
Expectation value of S²: 3.772
Spin multiplicity: 4
HOMO-LUMO gap (alpha / beta): 0.302 / 0.261 Eh
Highest occupied orbital energy (alpha / beta): -0.33810 / -0.34118 hartree

The geometry in XYZ format:
```
28
********
Announcements Help a Kid Become Enthusiastic About Science Performance Appraisal Training Offered on Friday, Sept. 18 Submit Your Intellectual Property Now Through New Inventor Portal Jefferson Lab Calendar of Events Sept. 13-18 XVI International Conference on Hadron Spectroscopy
== Unrelated to this article: calculated molecules ==
********
w.
The following is a DFT calculation (wB97M-V/def2-TZVPD) of a cluster of 2 separate species, C4H10O3 in total.

Results
total charge	+1
highest occupied orbital energy (alpha / beta)	-0.5078 / -0.5078	hartree
gap between HOMO and LUMO (alpha / beta)	8.07 / 3.96	eV
<S²>	0.7578
spin multiplicity	2

Element x y z (Å)
O (-3.5146, 0.0859, 0.7852)
C (-2.4962, 0.6683, 0.7722)
C (-1.2899, 0.1489, -0.0903)
C (0.0708, 0.6842, 0.3657)
C (0.5759, 1.6838, -0.7110)
O (0.9177, -0.3898, 0.6219)
H (-2.4255, 1.6413, 1.3001)
H (-1.2636, -0.9318, 0.0713)
H (-1.5969, 0.5639, -1.0511)
H (-0.0250, 1.2309, 1.3108)
H (0.0901, 2.6241, -0.4430)
H (1.6404, 1.9006, -0.6106)
H (0.4685, 1.3086, -1.7263)
H (1.5984, -0.1900, 1.2404)
H (2.7358, -3.0479, -0.9288)
H (1.8449, -4.1842, -0.5855)
O (2.6690, -3.7967, -0.3210)

=====

x.
The following is a DFT calculation (wB97M-V/def2-TZVPD) of a cluster of 2 separate species, C4H10O3 in total.

Results
total charge	+1
highest occupied orbital energy (alpha / beta)	-0.4855 / -0.4855	hartree
gap between HOMO and LUMO (alpha / beta)	7.69 / 3.44	eV
<S²>	0.7601
spin multiplicity	2

Element x y z (Å)
O (-2.9221, -3.2895, -0.5578)
C (-2.2912, -2.4762, -1.1555)
C (-1.0820, -1.8397, -0.5670)
C (-1.4003, -0.5064, 0.2204)
C (-0.0111, 0.0404, 0.6567)
O (-2.0802, -0.7381, 1.4012)
H (-2.5524, -2.1722, -2.1792)
H (-0.6609, -2.5125, 0.1876)
H (-0.3168, -1.5222, -1.2704)
H (-1.8800, 0.2091, -0.4390)
H (0.7123, -0.6350, 1.1271)
H (0.5976, 0.4662, -0.1577)
H (0.0049, 0.8707, 1.3645)
H (-1.6310, -1.4648, 1.8818)
H (5.0542, 5.5956, 0.5108)
H (5.6285, 4.8600, -0.7403)
O (4.8304, 5.1147, -0.2833)

=====

What should be chosen as the most stable of them? Choose x.

=====

w.
The following is a DFT calculation (wB97M-V/def2-TZVPD) of an isolated molecule of C5H5N.

Results
highest occupied orbital energy (alpha / beta)	-0.2953 / -0.3079	hartree
gap between HOMO and LUMO (alpha / beta)	7.13 / 7.41	eV
SMILES	CC1=CC=C=N1

Element x y z (Å)
C (0.1837, 1.2407, 0.3779)
C (0.5673, 0.1167, -0.5051)
C (-0.1727, -1.1430, -0.5646)
C (0.5635, -2.0849, -1.1402)
C (2.1429, -1.0784, -1.1549)
N (1.7611, 0.1359, -1.1122)
H (0.5883, 2.1715, -0.0171)
H (0.5730, 1.1007, 1.3899)
H (-0.9021, 1.2874, 0.4415)
H (-1.1935, -1.1816, -0.2146)
H (0.5319, -3.1402, -1.2689)

=====

x.
The following is a DFT calculation (wB97M-V/def2-TZVPD) of an isolated molecule of C5H5N.

Results
highest occupied orbital energy (alpha / beta)	-0.3168 / -0.3168	hartree
gap between HOMO and LUMO (alpha / beta)	7.94 / 7.94	eV
SMILES	C=C=C=NC=C

Element x y z (Å)
C (1.4413, 0.0364, 2.8448)
C (0.7962, -0.0434, 1.6812)
C (0.5372, -0.1323, 0.4360)
N (0.0264, -0.3076, -0.7416)
C (-1.1323, 0.1155, -1.3438)
C (-1.1655, -0.1117, -2.6389)
H (1.0962, 0.6706, 3.6051)
H (2.3969, -0.6389, 3.0943)
H (-1.7884, 0.7041, -0.7741)
H (-2.0444, 0.0440, -3.2425)
H (-0.1636, -0.3366, -2.9205)

=====

What should be chosen as the most stable of them? Choose x.

=====

w.
********
JLab Weekly Briefs is an ongoing publication providing information on the status of safety, accelerator operations, experiments, free-electron laser, reviews, upcoming activities and special events. Deadline for submission is every Tuesday by 10 a.m. Submit new items to: Public Affairs or contact Kandice Carter at x7263. |